Hey guys. This is post-movie, where Tamina might find out that there is much more too her husband, than it so seems.


Huuhhh. Yes THG? What is it?

I need you to do the disclaimer.

Why would you need me to do that?

Because I'm too lazy.

Fine. ThaliaHuntressGrace doesn't own Prince of Persia or any of the songs that may be sung/heard in this story. There. Are you happy now?

Yes, yes I am. You may go make-out with Dastan now. Bye! Enjoy the Story!

Chapter One: Music, No Matter the Kind

"Where could he possibly be this time? I mean honestly is it too much to ask that he come to 1 war council. Just 1!?" Garsiv said angrily, throwing his hands in the air and stalking to ward the window over looking the palace. Tus sighed. Although his brother was a great fighter, patience was never one of his strong suits. Even when they were waiting for the enemy "Abigail?" "Your Highness?"The young girl said, bowing deeply. "Send for Bis. I wish to speak with him." "Yes, your Majesty." She said with another deep bow and scurried out of the room.

Tamina turned toward Garsiv and sighed. She knew there was something she was forgetting, but it could wait. The protection and safety of her people was more important. As well as the Daggers. The object she was matter about could wait until this was done.

"I'm sure he's just busy. I'll ask Bis for I'm sure he knows. If he's not, I'll send for someone to find him." Garsiv sighed, visibly calming down, knowing that the tone the princess was using meant that the discussion wasn't up for argument. He had heard it from his father aplenty.

It was 10 months from when the Persians had fought their way into Alamut, and 11 since Dastan and the Princess were married. Tus and Garsiv were currently in Alamut's Council room, presenting the Princess with war strategies to help better protect her kingdom from any further attacks. Dastan had stayed for the time being so that Tamina and Alamut could get used to their Prince.

Tus opened his mouth to speak when a knock resounded to the room. Tamina engrossed in the battle plans, said absentmindly," Come in." while still managing to sound like a princess.

Bis entered the room and bowed. "Your Majesty wished to see me?" More of a question rather than a statement. "Yes Bis. Thank you for coming." Tamina said, slightly bowing her head as he stood up. Tus decided that he would speak next," We were wondering-" He was cut off by Garsiv standing up from his place by the window and marching over to his brother, because apparently, he thought this was his time to but in. "Where is our brother?" Bis raised his eyebrows at Garsiv's antics and sighed, unfazed from his anger. "I'm guessing he didn't tell you? Hmpf. Typical. He went into the city today to-" He was cut off by Tamina snapping her fingers, and saying in realization,"- to see the children and the orphans. That's what I was forgetting." She turned to the Princes with an apologetic look on her face. "I'm so sorry, but it just completely slipped my mind. That's what I was forgetting earlier."

Tus sighed putting his hand to his forhead, smiling slightly and chuckling to himself. Garsiv smirked and chuckled as well. Tamina smiled apologetically and stood up. "I was to join him later on when I was done here. Would you like to go see him know?" Tus opened his mouth to speak when Garsiv spoke up," Yes please. The sooner I see him, the sooner I can yell at him." Tamina chuckled slightly at the brother's antics. "Bis, would you like to come as well?" Bis smiled and politley declined. "No thank you Princess, I was actually going to walk around for awhile. I haven't seen much of the city yet." Tamina smiled.

"Alright. You'll find plenty to see I'm sure. Have a nice walk." Bis nodded the bowed and left. Tus sighed and turned to the Princess, offering her his hand," Shall we go?" She nodded and took his hand letting him lead her out to the front. Tus and Garsiv walked down a couple steps before they realized the Princess wasn't following them. "It's quite a ways out so we shall take the path around the back of the stables. It's much quicker." She gave Garsiv her hand this time and said,"Come. I'll show you where the stables are." The princes nodded as Grasiv took Tamina's hand and let her lead him to the stables path.

"I never realized how pretty it was here." Garsiv said in amazement. He swiveled his had around, taking it all in. Tus smiled at him, then turned toward Tamina. "How do you know where Dastan is?" Tamina just smioled. "You'll see." Was all she said. Tus nodded, accepting the answer. They walked with Tamina as she walked through alleys, buildings, and streets.

They finally came to a place where Tamina stopped and turned around. "Alright. Now as we come up to the place, when I tell you to be quiet, you must do it so you can hear." The brothers nodded and Tamina smirked, then nodded her head as well. "Good." She said." Follow me." And with that, she turned around, ran up to a wall, jumped up, then, pulled herself up using the poles jutting out. Garsiv whistled and said to his brother,

" I'm both disappointed, and pleased that she's not wearing a dress." Tus looked at his brother, giving him,a You've got to be kidding me. Really? Really? Garsiv shrugged . "What? OW!" He looked up to see what fell on him, and saw Tamina with two ropes tied around poles so they could climb up. "Come on. We'll miss it." Tus eyebrows rose, then he smirked. "What are you smiling at, brother?" Garsiv inquired. Something he found he was doing a lot of today. "Bet 'cha I can climb faster than you." The brothers looked at each other, then ran up the ropes.

In the end (which was reached by a lot of muttering curses under their breath that there mother would've made them wash their mouth's out with soap, scrapes, bruises, and falls off the rope) Tus managed to beat Garsiv by a second, and flopped onto the top of the building. "Ha... ha" He panted pointing to his brother.

Garsiv sighed, and said, "Whatever." shrugging his shoulders. Tamina rolled her eyes, then rose her eyebrows and smiled. "Ssshhh." She sad quietly, coming over and helping Tus up. "Listen." She whispered. Garsic turned his head, opened his mouth to speak, then closed it. He heard the sound of laughter of little children. "Hear that?" He whispered to his brother. Tus nodded and heard next, Dastan's laugh, along with the fast strum of a guitar being played at a lively tune, and his brothers singing.

Got a whale of a tale to tell ya, lads
A whale of a tale or two
'Bout the flapping fish and girls I've loved
On nights like this with the moon above
A whale of a tale and it's all true,
I swear by my tattoo

There was Mermaid Minnie
Met her down in Madagascar
She would kiss me
Anytime that I would ask her
Then one evening
Her flame of love blew out
Blow me down and pick me up,
She swapped me for a trout!

Tamina looked at the brothers and smiled. "Come." she whispered. "Follow me." As she walked to the edge of the roof, she silently thanked whichever god had made her wear her linen pants this morning instead of her usual robe and dress. She looked over the edge and smiled at the sight as it warmed her heart. There was her husband, Dastan leaning on the edge of the building, with a guitar in his lap, strumming the tune Garsiv had heard, and singing in a deep and powerful, yet still gentle voice.

Got a whale of a tale to tell ya, lads
A whale of a tale or two
'Bout the flapping fish and girls I've loved
On nights like this with the moon above
A whale of a tale and it's all true,
I swear by my tattoo

There was Typhoon Tessie
Met her on the coast of Java
When we kissed I
Bubbled up like molten lava
Then she gave me
The scare of my young life

As Tus and Garsiv came up next to her( FYI: Tus on her right, and to his, Garsiv), she jumped off the ledge onto the ground below, all the while being silent, and keeping her pristine white clothes clean. She turned to the brothers to see if they were going to shout somethign, but they weren't, for they were transfixed upon their brother. She smiled to herself. Silly Persians. So oblivious.

She walked up to the kids, and whispered "Boo." into Little Noah's ear. He shrieked in delight, then laughed, and pulled her away to dance with the other children. She caught Dastan's gaze as her looked at her and smiled in adoration.

Dastan laughed as he read Tamina's lips. Your brothers are watching. He smirked at her, as he had seen(actually heard, the Persian army was quieter than those two) and mouthed back. Well then, let's give them a show. Tamina nodded and danced with the children, twirling and jumping around in a circle. Dastan smiled and continued his song.

**Data records that have nothing to do with the page:**
********
{"formula": "Sb3TeAs", "functional": "PBE-GGA", "state": "optimized geometry", "lattice": [[-0.7573, -1.7764, 5.3351], [-5.3152, -1.5306, -1.2642], [1.8350, -5.1666, -1.4598]], "species": ["Sb", "Sb", "Sb", "As", "Te"], "frac_coords": [[0.0000, 0.5000, 0.0000], [0.0000, 0.0000, 0.5000], [0.5000, 0.0000, 0.0000], [0.5000, 0.5000, 0.5000], [0.0000, 0.0000, 0.0000]], "magmom_total_mub_per_atom": 0.000, "dos_at_fermi_per_ev_fu": 5.371, "relative_energy_ev_per_atom": 0.4834, "e_form_raw_ev_per_atom": 1.12, "dft_energy_ry_per_atom": -0.214}


{"formula": "InAgPb", "functional": "PBE-GGA", "state": "optimized geometry", "lattice": [[-2.2392, -2.2226, -10.6368], [5.8319, -1.6056, -0.8922], [-1.0068, -4.2707, 1.1043]], "species": ["Pb", "Pb", "Pb", "Pb", "Ag", "Ag", "Ag", "Ag", "In", "In", "In", "In"], "frac_coords": [[0.2954, 0.2500, 0.0000], [0.2046, 0.7500, 0.5000], [0.7046, 0.7500, 0.0000], [0.7954, 0.2500, 0.5000], [0.6049, 0.2500, 0.0000], [0.8951, 0.7500, 0.5000], [0.3951, 0.7500, 0.0000], [0.1049, 0.2500, 0.5000], [0.0000, 0.0000, 0.0000], [0.5000, 0.5000, 0.5000], [0.5000, 0.0000, 0.5000], [0.0000, 0.5000, 0.0000]], "magmom_total_mub_per_atom": 0.000, "dos_at_fermi_per_ev_fu": 1.213, "dft_energy_ry_per_atom": -0.224, "ef_ev_per_atom": 0.06}


{"formula": "SiIrPb2", "functional": "PBE-GGA", "state": "optimized geometry", "lattice": [[-3.3722, -2.8350, 2.1808], [-0.2674, -3.8532, 3.0408], [-0.4703, 2.7898, 5.0012]], "species": ["Ir", "Pb", "Pb", "Si"], "frac_coords": [[0.2500, 0.2500, 0.2500], [0.9868, 0.9868, 0.0157], [0.5132, 0.5132, 0.4843], [0.7500, 0.7500, 0.7500]], "magmom_total_mub_per_atom": 0.000, "dos_at_fermi_per_ev_fu": 1.731, "e_form_raw_ev_per_atom": 0.63, "dft_energy_ry_per_atom": -0.352}


{"formula": "TcP2SO", "functional": "PBE-GGA", "state": "optimized geometry", "lattice": [[3.9323, 0.0000, 0.0000], [0.0000, 3.9323, 0.0000], [0.0000, 0.0000, 4.3149]], "species": ["P", "P", "S", "Tc", "O"], "frac_coords": [[0.0000, 0.5000, 0.0000], [0.5000, 0.0000, 0.0000], [0.0000, 0.0000, 0.5000], [0.5000, 0.5000, 0.5000], [0.0000, 0.0000, 0.0000]], "magmom_total_mub_per_atom": 0.000, "dos_at_fermi_per_ev_fu": 3.637, "relative_energy_ev_per_atom": 0.5999, "e_form_raw_ev_per_atom": 0.67, "dft_energy_ry_per_atom": -0.396}


{"formula": "CsCaRu2", "functional": "PBE-GGA", "state": "optimized geometry", "lattice": [[0.0000, 3.5163, 3.5163], [3.5163, 0.0000, 3.5163], [3.5163, 3.5163, 0.0000]], "species": ["Cs", "Ru", "Ru", "Ca"], "frac_coords": [[0.5000, 0.5000, 0.5000], [0.2500, 0.2500, 0.2500], [0.7500, 0.7500, 0.7500], [0.0000, 0.0000, 0.0000]], "magmom_total_mub_per_atom": 0.026, "dos_at_fermi_per_ev_fu": 6.089, "relative_energy_ev_per_atom": 0.0000, "dft_energy_ry_per_atom": -0.287, "ef_ev_per_atom": 1.45}
********

Blow me down, and pick me up
She was the captain's wife!

Got a whale of a tale to tell ya, lads
A whale of a tale or two
'Bout the flapping fish and girls I've loved
On nights like this with the moon above
A whale of a tale and it's all true,
I swear by my tattooooooo!

"That's our song!" Garsiv yelled, as he came around the corner with Tus. The children had been taken home by now, and Dastan was walking with Tamina over to his brothers, embracing them as he had missed them in their absence.

"It is." He nodded. "But I thought the children might've liked it. And they did. Last time they came to the palace, ran around until they found me-" "-and he was with me, in the council room when they came bursting through the doors surprising us all, demanding that Dastan play them the song again-" "-for they had come with a dance for it." Dastan said finishing his wife sentence. "What did you do?" Garsiv inquired. Again. Daastan smirked. " One of the messenger boy's came in with my guitar, handed and handed it too me. I looked at Tamina-" He looked at said girl while he was saying this watching her giggle and slightly push him. "-who at the moment was trying hard not to laugh, and she nodded slightly at me. So I played the song for them as they danced, and in the middle of the song they pulled some of the councilors into it and made them dance as well." The two brothers laughed at the thought.

"What did the council think?" Tus asked. Tamina smiled and said," As i was apologising to them when the dance was over, they cut me off, said it was the best meeting they had ever been in, and said that we should do it more often. But with a warning first." She said, looking at her husband who was smirking at her. "What?" He said, raising his hands in a surrender gesture. "They weregiving me puppy eyes." Tamina rolled her eyes at her husband as his brothers laughed.

"Will you be staying the night?" She asked Tus and Garsiv, once they were done laughing. they shook their heads. "No. We have to get back to Nasaf. Father was expecting us to be there in two days and it takes at least a day and a half to get there." "Yes." Tus nodded with his brother and put his hand up as Tamina opened her mouth," And don't worry about our belonging's, they're already either in our saddle bags or on us." Tamina nodded and stepped forward to give each of them a hug. "I wish you good travels and a safe trip home." "Thank you, Princess." Garsiv said. "Goodbye brother." "Good luck." Dastan said as he gave his brothers a hug.

Garsiv whispered something in his rolled his eyes and nodded, then smacked his brother on the head. "What did you say?" Tus and Tamina asked, Tus in annoyance and Tamina in curiosity. "Nothing." Garsiv answered and walked away with Tus.

Dastan turned to his wife and smiled. "So.." He said drawing out the word, taking his wife's hand in his and leading her over to her his horse, putting the guitar in the saddle bag, and giving Tamina a leg up as she got onto the horse. "How did you find me?" He asked her as he got up behind her and she leaned onto his chest. "I knew this was the place where you first looked upon my city because you showed it to me the other day. Remember?" She asked him as he took the reins and started them to the palace at a fast canter. Dastan nodded. "Yes." He whispered in her ear holding her tighter around her waist, as he was using the other to hold the reins, as she shivered in the chilly evening air.

They got to the stables and they dismounted, Dastan taking Tamina under they arms and pulling her down. She gasped as it hurt a little, but also felt good, having someone hold her, and knowing that that person was someone she loved. They walked inside, Dastan walking Tamina too her room. "Good night Princess." He said, leaning down, kissing her on the cheek. Tamina smiled. "Good night, my Prince." Tamina stood up slightly, kissing Dastan on the cheek. He smiled and left.

"Sweet dreams. My love." Tamina whispered, gazing at her husband's retreating form. She sighed. If only. She thought as she got into her bed.

If only I could tell him.

How'd you guys like That? Huh? Like that little cliff-hanger? Well you know the drill. Review, comment, favorite, follow. Love ya.